Hungary’s New Budget: Big Promises, But Little Else

With public debt at 80% of GDP and unemployment over 11%, Prime Minister Viktor Orban will have to act fast

Reka Ferencz Mosteller
Mar 01, 2011

Today Hungarian Deputy Prime Minister and Minister of Justice and Public Administration  Tibor Navracsics and Economy Minister Gyorgy Matolcsy presented the "Orban budget" – officially known as the Széll Kálmán Terv, union against debt -- promising to save over 800 billion forints and reduce debt satisfactorily.  Since Moody’s Investors Service, Fitch Ratings and Standard & Poor’s rate Hungary’s credit one step above junk with a negative outlook to boot, the Hungarian government will have to produce measurable changes in its economy before they will be able to borrow money again.

All major Hungarian newspapers immediately pointed out that while the plan contains ambitious projections and numbers, it lacks the specific actions and corresponding financial figures of how such major steps can be achieved. This type of a criticism has been common toward Fidesz, the party of Hungarian President Viktor Orban. Indeed, the 40-page plan mostly has dates and draft action agendas but no itemized budget.

Hungary promises to lower its public debt to between 65% and 70% of gross domestic product by the end 2014 from the current 80% GDP.  According to the plan, the transfer of private pension-fund assets to the state and fiscal-restructuring measures will be the major sources of debt reduction. This includes savings of 213 billion forint annually by new employment policies, 129 billion forint by pension reforms, 60 billion forint by public transportation savings and 38 billion forint from savings in higher education. The cabinet also plans to cut drug subsidies by 120 billion forint annually from 2013 on, according to HVG, a leading economic journal.

And although the government acknowledges that the country needs a better-educated workforce to be competitive, Hungarian education faces serious restructuring as well as cost cuts as it is supposed to move forward. Notably, starting from September 1, 2012, the minimum age limit of mandatory education will be lowered from 18 years of age to 15 years of age. It is not clear what industries are expected to absorb the increasingly untrained workforce.

"No specifics or details were heard, however, it is unequivocally noticable that there is ‘governmental intention’ to reach the outlined goals," said MKB Bank’s leading economist, Zsolt Kondrat in an interview with Világgazdaság Online.

• What comes next are records of crystals, not part of the entry:
┌──
No. 1
Material: LaMgFe2
Method: DFT, PBE-GGA
State: relaxed

Cell lengths 3.1797, 3.1797, 7.7265 Å; angles 90.00, 90.00, 90.00 degrees
Last column: nearest neighbours and their distance in Å.
Atoms (fractional coordinates):
Mg1 0.5000 0.5000 0.8216  5 Fe 2.75-2.84
Fe1 0.5000 0.5000 0.1772  4 Fe 2.47, 1 Mg 2.75
Fe2 0.0000 0.0000 0.0454  4 Fe 2.47
La1 0.0000 0.0000 0.4559  5 Fe 3.11-3.17, 4 La 3.18

## Properties
E_form: 168 meV/atom
total magnetic moment: 4.592 μB/cell
space group: No. 99

---

No. 2
Material: CuH2W2
Method: DFT, PBE-GGA
State: relaxed

Cell lengths 3.3896, 3.3896, 4.9906 Å; angles 70.15, 70.15, 90.00 degrees
Last column: nearest neighbours and their distance in Å.
Atoms (fractional coordinates):
H1 0.2500 0.7500 0.5000  4 W 1.89
H2 0.7500 0.2500 0.5000  4 W 1.89
W1 0.3462 0.3462 0.3077  4 H 1.89
W2 0.6538 0.6538 0.6923  4 H 1.89
Cu1 0.0000 0.0000 0.0000  10 W 2.75-3.03, 8 H 2.77

## Properties
total magnetic moment: 0.000 μB/cell
VASP energy: -0.51510 Ry per atom
space group: No. 139

---

No. 3
Material: KTi2F8
Method: DFT, PBE-GGA
State: relaxed

Cell lengths 5.5558, 6.2038, 6.2038 Å; angles 62.55, 93.94, 93.94 degrees
Last column: nearest neighbours and their distance in Å.
Atoms (fractional coordinates):
K1 0.0000 0.0000 0.0000  6 F 2.57-2.86
F1 0.1841 0.7852 0.7852  1 Ti 1.84
F2 0.3726 0.3605 0.9448  2 Ti 1.96-2.13
F3 0.6985 0.6059 0.6059  1 Ti 1.81
F4 0.6274 0.6395 0.0552  2 Ti 1.96-2.13
F5 0.8159 0.2148 0.2148  1 Ti 1.84
F6 0.3726 0.9448 0.3605  2 Ti 1.96-2.13
F7 0.3015 0.3941 0.3941  1 Ti 1.81
F8 0.6274 0.0552 0.6395  2 Ti 1.96-2.13
Ti1 0.5112 0.2717 0.2717  4 F 1.81-1.96
Ti2 0.4888 0.7283 0.7283  4 F 1.81-1.96

## Properties
formation energy (no corrections): -3247 meV per atom
total magnetic moment: 1.000 μB/cell
space group: No. 12

~~~~~

1.
The following is a DFT calculation (PBE) of LiYTmFe after structural relaxation.

Cell: 4.823 4.823 4.823 Å, 60.00 60.00 60.00°
Positions (direct):
Y: 0.000 0.000 0.000
Tm: 0.500 0.500 0.500
Li: 0.750 0.750 0.750
Fe: 0.250 0.250 0.250

Properties
SG   F-43m (216)
ρ   6.71 g cm⁻³
Uncorrected energy   -5.249 eV/atom

=====

2.
The following is a DFT calculation (PBE) of Dy6CoHg2 after structural relaxation.

Cell: 6.925 7.179 10.089 Å, 90.00 90.25 90.00°
Positions (direct):
Dy: 0.302 0.799 0.049
Dy: 0.399 0.507 0.750
Dy: 0.805 0.700 0.955
Co: 0.000 0.000 0.500
Hg: 0.531 0.923 0.748
Dy: 0.899 0.993 0.250
Dy: 0.305 0.800 0.455
Hg: 0.031 0.577 0.248
Co: 0.500 0.500 0.000
Dy: 0.698 0.201 0.951
Dy: 0.601 0.493 0.250
Dy: 0.198 0.299 0.451
Hg: 0.969 0.423 0.752
Dy: 0.101 0.007 0.750
Dy: 0.695 0.200 0.545
Dy: 0.802 0.701 0.549
Hg: 0.469 0.077 0.252
Dy: 0.195 0.300 0.045

Properties
SG   P2_1/c (14)
ρ   9.50 g cm⁻³
Uncorrected energy   -4.164 eV/atom
└──
• Here the entry continues:

Others are more skeptical. Daniel Bebesy, an asset manager who helps oversee $1.5 billion at Budapest Investment Management thinks far more precision is necessary.

"We only know headline figures, but nothing concrete on how they are going to save the amounts," said Bebesy in Bloomberg Business News.  "The government keeps promising big announcements all the time and then fails to deliver."

## Next to the piece, the page also holds records of crystals
********
Material: PuScAlCd
Method: DFT, PBE
State: optimized geometry

The space group is F-43m (No. 216) and the conventional cell measures 7.1847, 7.1847 and 7.1847 Å, with angles of 90.00, 90.00 and 90.00 degrees. Symmetry generates all atoms from Pu at (0.0000, 0.0000, 0.0000), Sc at (0.0000, 0.0000, 0.5000), Al at (0.2500, 0.2500, 0.7500) and Cd at (0.2500, 0.2500, 0.2500).

The calculation puts the formation enthalpy at 0 K at -0.14 eV per atom. The calculation puts the uncorrected energy at -103.50 eV per cell.



Material: Tl5SnAu6
Method: DFT, PBE
State: optimized geometry

The space group is C2/m (No. 12) and the conventional cell measures 7.1915, 13.7430 and 6.7002 Å, with angles of 90.00, 113.97 and 90.00 degrees. Symmetry generates all atoms from Tl at (0.0000, 0.0000, 0.0000), Tl at (0.0000, 0.1370, 0.5000), Tl at (0.0000, 0.3043, 0.0000), Sn at (0.0000, 0.5000, 0.5000), Au at (0.1877, 0.5000, 0.1924) and Au at (0.2087, 0.3317, 0.7021).

The calculation puts the formation enthalpy at 0 K at -0.02 eV per atom. The calculation puts the uncorrected energy at -71.46 eV per cell.



Material: LaMn3Ru
Method: DFT, PBE
State: optimized geometry

The space group is Pm-3m (No. 221) and the conventional cell measures 4.5688, 4.5688 and 4.5688 Å, with angles of 90.00, 90.00 and 90.00 degrees. Symmetry generates all atoms from La at (0.0000, 0.0000, 0.0000), Mn at (0.0000, 0.0000, 0.5000) and Ru at (0.5000, 0.5000, 0.5000).

The calculation puts the formation enthalpy at 0 K at 1.94 eV per atom. The calculation puts the uncorrected energy at -32.00 eV per cell.



Material: FeAs4W
Method: DFT, PBE
State: optimized geometry

The space group is F-43m (No. 216) and the conventional cell measures 7.5153, 7.5153 and 7.5153 Å, with angles of 90.00, 90.00 and 90.00 degrees. Symmetry generates all atoms from Fe at (0.0000, 0.0000, 0.0000), As at (0.1246, 0.1246, 0.3754) and W at (0.2500, 0.2500, 0.7500).

The calculation puts the formation enthalpy at 0 K at 1.08 eV per atom. The calculation puts the uncorrected energy at -134.22 eV per cell.



Material: EuGe2Mo
Method: DFT, PBE
State: optimized geometry

The space group is P4/mmm (No. 123) and the conventional cell measures 3.3276, 3.3276 and 7.0094 Å, with angles of 90.00, 90.00 and 90.00 degrees. Symmetry generates all atoms from Eu at (0.0000, 0.0000, 0.0000), Ge at (0.5000, 0.5000, 0.3061) and Mo at (0.0000, 0.0000, 0.5000).

The calculation puts the formation enthalpy at 0 K at -0.25 eV per atom. The calculation puts the uncorrected energy at -31.33 eV per cell.



Material: ReTcCl
Method: DFT, PBE
State: optimized geometry

The space group is F-43m (No. 216) and the conventional cell measures 5.9591, 5.9591 and 5.9591 Å, with angles of 90.00, 90.00 and 90.00 degrees. Symmetry generates all atoms from Re at (0.0000, 0.0000, 0.0000), Tc at (0.2500, 0.2500, 0.7500) and Cl at (0.2500, 0.2500, 0.2500).
********

In a press conference today Attila Mesterházy, leader of the Hungarian Socialist Party (MSZP) since July 2010, welcomed the idea of structural reforms and budget deficit cuts but emphasized the plan’s lack of details and criticized the presentation as a "tabloid economic lecture" without specific data.

Hungary’s newest party in the Parliament, LMP (Politics Can be Different) was much more critical. Gabor Scheiring, Member of the Parliament, leader of the Economic Policy Cabinet of LMP,  calls the "Orban Plan" "empty promises, restrictions and a catastrophe in the employment market." "Reduction of unemployment ought to be the goal" - he emphasized. The Hungarian government will not lower its tax rate for large corporations from 19% to 10%, as promised, nor will it change the extraordinary financial-sector tax, despite earlier plans to halve the amount in 2012. These and other measures affecting the economy create an environment that is not conducive to the creation of new jobs, the key to economic progress, argued by many economist.

Hungary’s unemployment rate now reached 11.2%, and more than half of the unemployed have not actively searched for jobs for over a year. Average unemployment lasts over a year and a half. No wonder 4/5 of voters object to the new budget plan and find it unfair in a new public poll Scheiring refers to in his response.

The far-right Jobbik party leader Vona Gábor was no less critical and called the plan an "empty-headed" experiment that is severely restrictive and particularly cruel to the disabled, the retired and the unemployed.

Hungary was the first European Union country that needed an EU-IMF bailout. Yet Orban’s new government broke with the International Monetary Fund soon after its sweeping election victory last year. When Orbán was responding to international critics of Hungary’s media law, he said Hungary would not take orders from anyone, including the EU.  Given the criticisms heard today in Hungary, the government needs to figure out how to deliver all the proposed results and satisfy domestic critics.

It is probably not such a bad idea that the government’s first proposed action is to reduce the annual vacation time of political Department Ministers form 40 days to 20.

C’est la vie.